-- Assignment --
Please type out the lines further below from the one with "4.2550 3.2328" to the one with "13.7448" exactly.

-- Given --
<<<
TbTlPd: relaxed, PBE.

Lattice parameters (Å, degrees): 7.893 7.893 3.804 90.00 90.00 120.00
Sites, in units of the cell vectors:
Tb: 0.000 0.402 0.000
Tb: 0.402 0.000 0.000
Tb: 0.598 0.598 0.000
Tl: 0.000 0.733 0.500
Tl: 0.267 0.267 0.500
Tl: 0.733 0.000 0.500
Pd: 0.000 0.000 0.000
Pd: 0.333 0.667 0.500
Pd: 0.667 0.333 0.500

Computed properties:
Its space group is P-62m, No. 189. Its formation energy is -0.66 eV per atom.

=====

Crystalline K5C3N6 at its relaxed geometry, computed with PBE-GGA.

* volume: 18.83 A^3/atom
* calculated density: 1.99 g/cm3
* energy relative to the elements: -524 meV per atom
* space-group type: Im-3m, No. 229

The structure in POSCAR format:
```
K5C3N6
1.0
0.4284 2.8223 6.3875
-1.8177 4.9358 -4.6134
-4.8196 -5.0716 0.0097
K C N
5 3 6
Cartesian
0.0000 0.0000 0.0000
-2.4098 -2.5358 0.0048
-0.9088 2.4679 -2.3067
0.2142 1.4111 3.1937
-3.1044 1.3433 0.8919
-2.1956 -1.1246 3.1986
-3.3186 -0.0679 -2.3018
-0.6946 3.8790 0.8871
-1.5210 -0.7791 2.2158
-2.2989 -0.0470 -1.5946
-0.9081 5.0709 1.1596
-2.8702 -1.4702 4.1814
-0.4812 2.6872 0.6145
-4.3383 -0.0888 -3.0091
```


Crystalline KC2N3 at its relaxed geometry, computed with PBE-GGA.

* volume: 16.11 A^3/atom
* calculated density: 1.81 g/cm3
* energy relative to the elements: -387 meV per atom
* energy above the most stable polymorph in this dataset: 0.0 meV/atom
* space-group type: P2_1/c, No. 14

The structure in POSCAR format:
```
KC2N3
1.0
12.1367 0.0000 0.0000
0.0000 3.8742 0.0000
0.0000 2.9647 24.6677
K C N
12 24 36
Cartesian
7.8964 3.6864 12.0250
12.1014 5.6817 18.7172
5.0106 5.1263 22.1825
7.1261 1.7126 2.4852
6.1037 4.1994 6.3833
1.0578 3.6440 9.8487
10.3086 5.1687 24.3589
1.8281 1.6701 0.3088
4.2403 3.1525 12.6427
6.0330 2.6395 18.2844
11.0789 3.1949 14.8191
0.0353 1.1571 5.9505
5.9712 1.5313 9.9484
3.0087 1.9870 7.2107
3.9268 3.3230 2.9441
6.1655 5.3076 14.7193
1.7470 3.2369 3.6541
7.6382 2.9759 23.8874
4.4985 3.8630 0.7804
2.6172 4.1760 17.4197
12.0396 3.8253 2.3854
9.5195 2.6629 7.2480
3.4512 2.6937 5.0858
2.1415 4.8053 15.2780
10.5669 1.4935 11.5535
8.2099 3.5159 21.7236
9.1280 4.8519 17.4570
10.3897 3.6019 21.0136
9.0771 3.3696 5.1231
7.8154 2.1196 8.6797
9.9952 2.0335 9.3897
0.0971 3.0136 22.2823
3.0596 3.4693 19.5446
8.6855 4.1452 19.5819
1.5698 5.3453 13.1142
4.3213 4.7193 15.9880
5.6648 4.8958 15.8379
1.8133 1.7505 11.9831
7.8817 3.6061 0.3508
6.4719 1.9430 8.8299
10.4713 2.4033 8.1783
4.2550 3.2328 24.3169
10.3234 5.0884 12.6847
2.1196 2.8407 4.8916
9.8801 5.1480 16.5883
2.2566 1.6909 8.0794
3.8118 3.1733 20.4133
3.9035 2.2661 6.3053
3.9488 4.3231 17.2255
8.3250 3.6656 4.2544
9.5275 3.3793 22.0402
7.2602 3.2765 22.6837
1.1918 5.0447 14.3179
10.9449 1.7942 10.3499
4.8765 3.5624 1.9840
10.0172 3.9981 19.7761
8.1879 2.5158 7.4422
8.2332 4.5727 18.3624
4.4029 2.9532 4.1555
3.4591 4.9419 14.9613
5.4073 5.0244 10.9229
9.9719 3.0904 6.0285
8.6776 1.8970 9.7064
7.7338 3.8857 20.5122
0.4035 3.4135 3.5040
0.6611 6.5067 23.2568
2.1648 3.7485 18.6392
6.7294 1.8145 13.7448
2.6092 3.4595 2.6275
11.7332 3.4254 21.1637
11.4756 0.3322 1.4109
1.6654 4.4355 16.4894
```


Crystalline K2CN2 at its relaxed geometry, computed with PBE-GGA.

* volume: 18.72 A^3/atom
* calculated density: 2.10 g/cm3
* energy relative to the elements: -617 meV per atom
* space-group type: C2/m, No. 12

The structure in POSCAR format:
```
K2CN2
1.0
-3.9969 -0.8284 0.3551
0.6368 -1.6619 3.6905
-1.9629 4.1283 3.7585
K C N
2 1 2
Cartesian
-3.6589 1.2416 5.3932
-1.6641 0.3964 2.4109
0.0000 0.0000 0.0000
-3.2533 -1.2586 4.2050
-2.0697 2.8965 3.5990
```


Crystalline K2C7N4O at its relaxed geometry, computed with PBE-GGA.

* volume: 17.69 A^3/atom
* calculated density: 1.57 g/cm3
* energy relative to the elements: -200 meV per atom
* space-group type: P-1, No. 2

The structure in POSCAR format:
```
K2C7N4O
1.0
-1.3824 1.0014 -3.8325
-7.5319 0.0017 2.9430
4.2013 13.7462 4.0153
K C N O
4 14 8 2
Cartesian
1.2825 8.9096 1.6940
-5.9956 5.8398 1.4318
-6.5038 1.8597 2.4140
>>>

-- Here it is --
4.2550 3.2328 24.3169
10.3234 5.0884 12.6847
2.1196 2.8407 4.8916
9.8801 5.1480 16.5883
2.2566 1.6909 8.0794
3.8118 3.1733 20.4133
3.9035 2.2661 6.3053
3.9488 4.3231 17.2255
8.3250 3.6656 4.2544
9.5275 3.3793 22.0402
7.2602 3.2765 22.6837
1.1918 5.0447 14.3179
10.9449 1.7942 10.3499
4.8765 3.5624 1.9840
10.0172 3.9981 19.7761
8.1879 2.5158 7.4422
8.2332 4.5727 18.3624
4.4029 2.9532 4.1555
3.4591 4.9419 14.9613
5.4073 5.0244 10.9229
9.9719 3.0904 6.0285
8.6776 1.8970 9.7064
7.7338 3.8857 20.5122
0.4035 3.4135 3.5040
0.6611 6.5067 23.2568
2.1648 3.7485 18.6392
6.7294 1.8145 13.7448